Have Sterile Neutrinos been detected? Some experiments say yes, others say no.

Regular readers of this blog will have noticed that I have a deep interest in particle physics, also called high-energy physics, and in particular the so-called ‘ghost particle’ of the atom, the neutrino. Well after all my degrees are in physics and studying how the most elementary particles that exist interact is certainly the most basic way to understand how the Universe itself works. Also, my grad school advisor’s own research concerned neutrinos.

Neutrinos are a hot topic right now and a soon to be published paper is going to turn the temperature way up. The MiniBooNE experiment, which I discussed in some detail in my post of 2Dec2017, is detecting more neutrinos that calculations predict that it should and one possible explanation for the excess would be the existence of a fourth type of neutrino, a sterile neutrino. MiniBooNE is a cooperative experiment at Fermilab outside of Chicago, which produces the neutrinos the MiniBooNE detector. The image below shows the layout of MiniBooNE.

Layout of the MiniBooNE Experiment (Credit: Fermilab)

O’k a little background first describing the fermion or matter side of the standard model of elementary particles. Since the 1960s physicists have known that all of the matter we see around us, all of the atoms are built from four different particles. There is a pair of quarks called up and down who themselves make up the familiar protons and neutrons in the atom’s nucleus. There’s also a pair of leptons, the electron and the neutrino but while the electron orbits around the nucleus the neutrino is a ‘ghost particle’, rarely interacting with other particles.

If you think that sounds weird it gets worse. In the extremely high-energy collisions we generate in our modern atom smashers we have found that each of those four particles has two heavier, more massive cousins. The cousins of the up quark for example are called the charm and top quarks. The charm and top are identical to the up in every way except being more massive. They have the same electric charge, the same spin, the same weak charge, and same colour charge.

Similarly the down quark has two cousins named strange and bottom while the electron’s cousins are the muon and tau. Why these heavier cousins should even exist we have no idea but they certainly do.

There are three neutrinos as well but they simply called the electron-neutrino, the muon-neutrino and the tau-neutrino because they have the have the bazaar ability to oscillate from one type into another. One of the first attempts to study this oscillation property was called the Liquid Scintillator Neutrino Detector (LSND) at the Los Alamos back in the 1990’s. When the LSND found a surprising excess in the number of neutrinos some theoretical physicists suggested the existence of a fourth kind of neutrino, a sterile neutrino that would interact even less than normal ‘active’ neutrinos but which would oscillate like the others, in other words after a period of time it would become one of the other types. (I know how crazy that all sounds and I will tell you the math is almost easier to understand than the description!)

Other experiments quickly tries to find additional evidence of sterile neutrinos but failed. Both the Underground Oscillation Project with Emulsion-Tracking Apparatus Experiment in Switzerland and the Ice Cube Neutrino Observatory failed to discovery any hint of sterile neutrinos in their data. Physicists began to believe that there must have been some problem with the LSND data or its analysis. The Images below show the Ice Cube Neutrino Observatory in Antarctica.

Ice Cube Neutrino Observatory Credit: South Pole Doc)
Ice Cube Experiment Layout (Credit: Inspire.hep)

But now MiniBooNE has found the same signature of sterile neutrinos as the LSND had making physicists scratch their heads and wonder, what’s going on here? Perhaps one clue is that both LSND and MiniBooNE employ photomultiplier tubes to detect the energy released by a neutrino interacting with another particle while Ice Cube and the Underground Oscillation Project use other techniques. But whether the photomultiplier tubes are enabling the detection of sterile neutrinos, or are causing a false signal that is being interpreted as sterile neutrinos is as yet completely unknown. The image below shows the photomultiplier Tube array in the LSND. When in use the chamber is filled with water for the neutrinos to interact with.

## Inserted here: quantum chemistry results
~~~
No. 1
DFT (ωB97M-V with the def2-TZVPD basis set) results for a molecular structure, C4H3LaO2.

Each line ends with the Löwdin charge.
Geometry (Å):
O: 1.64823 -1.46346 -0.44457  -0.094
C: 0.48360 -1.40403 -0.18291  -0.126
C: -0.75124 -1.13650 0.14042  0.011
C: -1.18173 0.26835 -0.05908  -0.026
C: -0.40796 1.33197 0.26486  -0.204
H: -1.40202 -1.92107 0.52920  0.161
H: -0.15294 2.24005 -0.48117  0.205
H: -2.20800 0.43883 -0.38463  0.138
La: 3.03824 0.33414 0.35486  2.404
O: 0.93380 1.31172 0.26301  -0.468

## Properties
Net charge = +2
Maximum force = 0.1574 hartree/bohr
Electronic energy = -335.495975 a.u.
Orbital gap = 0.221 Ha


No. 2
DFT (ωB97M-V with the def2-TZVPD basis set) results for a molecular structure, C4H3Li2O2Tm.

Each line ends with the Löwdin charge.
Geometry (Å):
C: 1.28147 -1.25464 0.23334  -0.375
O: 0.16533 -2.02672 0.45158  -0.406
Li: -1.96606 2.11180 -2.69971  0.912
Li: -0.27118 -0.97288 2.06015  0.794
H: 2.25982 -1.67428 -0.07612  0.141
C: 1.22818 0.10283 0.37452  -0.172
C: 0.06872 0.82860 0.93566  -0.123
C: -1.03142 1.09030 0.20451  -0.360
O: -1.25466 0.72629 -1.11965  -0.480
Tm: -0.75552 -1.19831 -1.22493  1.821
H: 2.17400 0.63983 0.24584  0.137
H: -1.89868 1.62717 0.61481  0.111

## Properties
Net charge = +2
Maximum force = 0.0611 hartree/bohr
ΔE to the lowest compared entry with this formula, charge and spin = 0.00 kJ/mol
Electronic energy = -1404.358689 a.u.
Orbital gap (alpha / beta) = 0.205 / 0.206 Ha
Multiplicity = 3


No. 3
DFT (ωB97M-V with the def2-TZVPD basis set) results for a molecular structure, C4H3LiNaO2Tl.

Each line ends with the Löwdin charge.
Geometry (Å):
C: 0.69990 1.26505 -0.18159  -0.529
O: -0.53326 1.76962 -0.11361  -0.457
Tl: -0.31459 -0.20989 2.12326  0.875
Li: -0.95806 3.03726 1.61358  0.726
H: 1.91316 1.27429 0.07876  0.135
C: 1.02986 -0.00815 -0.62988  -0.304
C: 0.05154 -1.05953 -1.02452  -0.190
C: -0.51109 -1.86860 -0.07598  -0.486
O: -0.27731 -1.91869 1.23414  -0.492
Na: -1.82734 0.39212 -1.41647  0.566
H: 1.97304 -0.03927 -1.19553  0.082
H: -1.24585 -2.63421 -0.41217  0.075

## Properties
Net charge = 0
Maximum force = 0.1010 hartree/bohr
Electronic energy = -646.822211 a.u.
Orbital gap = 0.140 Ha


No. 4
DFT (ωB97M-V with the def2-TZVPD basis set) results for 2 unconnected molecules or ions with the total composition C4H3N.

Each line ends with the Löwdin charge.
Geometry (Å):
C: -1.32490 1.24844 0.57015  -0.102
C: 0.38998 -0.47018 0.87330  -0.189
C: -0.33596 0.59400 1.34489  0.075
C: -0.74361 0.74371 -0.49238  -0.086
N: 0.18239 -0.21798 -0.42380  -0.031
H: -1.89970 2.20262 0.46084  0.121
H: 1.28627 -0.98808 1.15969  0.098
H: 1.06982 -1.61584 -1.76344  0.113

## Properties
Net charge = 0
Maximum force = 0.0731 hartree/bohr
ΔE to the lowest compared entry with this formula, charge and spin = 785.65 kJ/mol
Electronic energy = -208.602572 a.u.
Orbital gap (alpha / beta) = 0.275 / 0.304 Ha


No. 5
DFT (ωB97M-V with the def2-TZVPD basis set) results for C4H3N in the gas phase.
~~~

Photomultiplier Tubes are a common technique for detecting Neutrino interactions (Credit: Amusing Universe)

Neutrinos have been leading physicists on both an exciting and yet very twisted journey ever since Wolfgang Pauli first predicted their existence back in the 1930s. I’m certain that there are a few more twists still to come.